A fill for the ASoIaF kink meme: GirlJon/Stannis AU

When Selyse dies Robert tells his brother he's going to find him a new young pretty wife

[Inserted here: materials data]
[1]
Computed, not measured: an optimized crystal structure of Rb3SnCl at the PBE level of DFT.

For the density, the calculation gives 2.72 g/cm3. For the size of the total moment, the calculation gives 2.0 μB/f.u. Its symmetry is Pm-3m. Its energy is -2.415 eV per atom.

Cell: 6.3049 6.3049 6.3049 Å, 90.00 90.00 90.00°
Closest atoms and distances in Å follow each position.
Element x y z (fractional)
Rb: 0.5000 0.0000 0.0000  2 Cl 3.15
Rb: 0.0000 0.0000 0.5000  2 Cl 3.15
Rb: 0.0000 0.5000 0.0000  2 Cl 3.15
Cl: 0.0000 0.0000 0.0000  6 Rb 3.15
Sn: 0.5000 0.5000 0.5000  12 Rb 4.46



[2]
Computed, not measured: an optimized crystal structure of Rb3Sn2Cl7 at the PBE level of DFT.

For the density, the calculation gives 2.85 g/cm3. For the size of the total moment, the calculation gives 0.0 μB/f.u. Its symmetry is Cmmm. Its energy is -3.439 eV per atom.

Cell: 5.5257 5.6648 14.0907 Å, 101.60 90.00 90.00°
Closest atoms and distances in Å follow each position.
Element x y z (fractional)
Cl: 0.0000 0.6033 0.2066  2 Sn 2.83
Cl: 0.0000 0.3967 0.7934  2 Sn 2.83
Cl: 0.0000 0.0000 0.0000  2 Sn 2.93
Cl: 0.0000 0.7963 0.5925  1 Sn 2.70
Cl: 0.0000 0.2037 0.4075  1 Sn 2.70
Cl: 0.5000 0.8927 0.7854  2 Sn 2.76
Cl: 0.5000 0.1073 0.2146  2 Sn 2.76
Rb: 0.5000 0.5000 0.0000  12 Cl 3.96-4.10
Rb: 0.5000 0.3179 0.6359  4 Cl 3.50-3.52
Rb: 0.5000 0.6821 0.3641  4 Cl 3.50-3.52
Sn: 0.0000 0.1060 0.2119  6 Cl 2.70-2.93
Sn: 0.0000 0.8940 0.7881  6 Cl 2.70-2.93



[3]
Computed, not measured: an optimized crystal structure of Rb2Sn2Cl7 at the PBE level of DFT.

For the density, the calculation gives 3.05 g/cm3. For the size of the total moment, the calculation gives 0.0 μB/f.u. Its symmetry is Cmmm. Its energy is -3.318 eV per atom.

Cell: 6.8889 7.5866 6.8889 Å, 89.99 97.21 90.01°
Closest atoms and distances in Å follow each position.
Element x y z (fractional)
Cl: 0.9998 0.2304 0.5003  2 Sn 2.88
Cl: 0.4998 0.2127 0.5002  2 Sn 2.82
Cl: 0.5003 0.7696 0.9998  2 Sn 2.88
Cl: 0.4997 0.2304 0.0002  2 Sn 2.88
Cl: 0.5002 0.7873 0.4998  2 Sn 2.82
Cl: 0.0002 0.7696 0.4997  2 Sn 2.88
Cl: 0.0000 0.0000 0.0000  2 Sn 2.85
Rb: 0.2358 0.5000 0.2358  6 Cl 3.25-3.30
Rb: 0.7642 0.5000 0.7642  6 Cl 3.25-3.30
Sn: 0.2760 0.0000 0.7240  7 Cl 2.82-2.88
Sn: 0.7240 0.0000 0.2760  7 Cl 2.82-2.88



[4]
Computed, not measured: an optimized crystal structure of RbSn2Cl at the PBE level of DFT.

For the density, the calculation gives 3.85 g/cm3. For the size of the total moment, the calculation gives 0.0 μB/f.u. Its symmetry is I-42d. Its energy is -3.296 eV per atom.

Cell: 4.3312 4.3312 16.7803 Å, 82.58 82.58 90.00°
Closest atoms and distances in Å follow each position.
Element x y z (fractional)
Sn: 0.3750 0.3732 0.7500  4 Sn 3.05-3.07
Sn: 0.1232 0.6250 0.2500  4 Sn 3.05-3.07
Sn: 0.8750 0.8768 0.7500  4 Sn 3.05-3.07
Sn: 0.6268 0.1250 0.2500  4 Sn 3.05-3.07
Rb: 0.7500 0.2500 0.5000  4 Cl 3.06
Rb: 0.0000 0.0000 0.0000  4 Cl 3.06
Cl: 0.5000 0.5000 0.0000  4 Rb 3.06
Cl: 0.2500 0.7500 0.5000  4 Rb 3.06



[5]

Stannis is not impressed when this turns out to be Ned Stark's legitimized bastard but marries her as commanded but sends her to Dragonstone to keep her away from Robert.

On a visit home he finds much more welcoming chambers, a happier daughter and a younger brother willingly visiting,he takes time to get to know Jon and by the time he returns to court his wife is expecting.

When their child is born Lord Arryn is very interested in the fact the baby has thick black hair...

Bonus points for R+L=J - Stannis finds out when Robert dies that GirlJon's father was Rhaegar who had taken Lyanna as another wife. So his claim to the throne is strengthened by his wife and houses who declare for him as his wife is a Targaryen Princess.

The piece is interrupted by materials data.
┌──
1.
Material: TaTl2Br
Method: DFT, SCAN
State: PBEsol geometry

Output
The value obtained for the uncorrected formation energy is 17.07 kJ per mole of atoms. The calculation puts the calculated total energy at -57.513 eV/atom. The value obtained for the distance to the lowest polymorph of the same formula is 0 meV/atom. The space-group type is Imm2 (44). The density of states at the Fermi level is 1.690 states/eV/cell.

Unit cell a=3.133 b=4.625 c=7.995 alpha=106.81 beta=101.30 gamma=90.00
Positions (direct):
Tl 0.924 0.924 0.848
Tl 0.770 0.270 0.541
Br 0.585 0.585 0.170
Ta 0.221 0.721 0.442

2.
Material: CaLa2Tc
Method: DFT, SCAN
State: PBEsol geometry

Output
The calculation puts the calculated total energy at -32.668 eV/atom. The value obtained for the distance to the lowest polymorph of the same formula is 2 meV/atom. For the energy of formation, the calculation gives 0.065 eV/atom. The space-group type is P4/mmm (123). The density of states at the Fermi level is 3.588 states/eV/cell.

Unit cell a=3.507 b=3.507 c=9.808 alpha=90.00 beta=90.00 gamma=90.00
Positions (direct):
Ca 0.500 0.500 0.500
Tc 0.500 0.500 0.000
La 0.000 0.000 0.827
La 0.000 0.000 0.173

3.
Material: CaAgAs2
Method: DFT, SCAN
State: PBEsol geometry

Output
The calculation puts the calculated total energy at -20.748 eV/atom. For the energy of formation, the calculation gives -0.395 eV/atom. The space-group type is Cm (8). The density of states at the Fermi level is 0.878 states/eV/cell.

Unit cell a=3.613 b=4.680 c=5.460 alpha=110.73 beta=109.32 gamma=90.00
Positions (direct):
As 0.971 0.025 0.942
As 0.271 0.698 0.541
Ca 0.519 0.562 0.038
Ag 0.739 0.215 0.478

4.
Material: In2Ag2GeS6
Method: DFT, SCAN
State: PBEsol geometry

Output
The value obtained for the uncorrected formation energy is -46.19 kJ per mole of atoms. The calculation puts the calculated total energy at -19.239 eV/atom. The space-group type is Cc (9).

Unit cell a=7.057 b=7.057 c=12.142 alpha=72.97 beta=72.97 gamma=60.64
Positions (direct):
In 0.518 0.317 0.440
In 0.306 0.168 0.243
In 0.168 0.306 0.743
In 0.317 0.518 0.940
Ag 0.992 0.799 0.246
Ag 0.381 0.816 0.587
Ag 0.816 0.381 0.087
Ag 0.799 0.992 0.746
Ge 0.405 0.933 0.000
Ge 0.933 0.405 0.500
S 0.056 0.518 0.130
S 0.120 0.601 0.450
S 0.655 0.163 0.256
S 0.359 0.828 0.192
S 0.633 0.609 0.420
S 0.609 0.633 0.920
S 0.601 0.120 0.950
S 0.828 0.359 0.692
S 0.163 0.655 0.756
S 0.518 0.056 0.630
S 0.100 0.083 0.443
S 0.083 0.100 0.943

5.
Material: Tb4Si3Ge
Method: DFT, SCAN
State: PBEsol geometry

Output
The value obtained for the uncorrected formation energy is -84.68 kJ per mole of atoms. The calculation puts the calculated total energy at -30.401 eV/atom. The space-group type is Pmm2 (25). The density of states at the Fermi level is 3.943 states/eV/cell.

Unit cell a=3.828 b=4.258 c=10.525 alpha=90.00 beta=90.00 gamma=90.00
Positions (direct):
Ge 0.000 0.000 0.421
Tb 0.000 0.000 0.138
Tb 0.000 0.500 0.641
Tb 0.500 0.500 0.359
Tb 0.500 0.000 0.860
└──

Beated by the wonderful CloudyDream.

The girl was only fourteen. She was only five years older than his own daughter and that's why Stannis couldn't blame Ned Stark for once as the other man glared at both him and Robert.

The girl, Joanna, was beautiful. Long, wavy brown hair with a single blue rose in the back that held her hair back. He could see the intelligence in her darting gray eyes, smooth pale skin, full red lips, delicately angular features, and the simple, low-cut dress she was wearing did nothing to hide the shape of her body, already that of an adult woman's. She was the pinnacle of Northern beauty and, while Stannis had never met Lyanna Stark, now he could truly see why Robert and Rhaegar had waged a war over her. Even if she'd been only half as beautiful as her niece, it would have been enough.

That must have been why Robert had stared at the girl for a full minute after he stepped off his horse, as if he would take her in front of all of Winterfell then and there, Stannis knew even before Ned Stark had pointedly cleared his throat.

And that might be why the girl was tightly gripping her half-brother's hand, tightly as the boy gave the Stark glare through Tully blue eyes at both Robert and himself.

Stannis wondered who between the two of them scared the girl more, and he surprised himself by hoping it was Robert. He actually wanted her to like him as much as she possibly could, considering that he was of an age with her father (and looked even older), and that she had just met and yet, soon he would become her husband.

Stannis had a feeling Robert wasn't even registering in her mind.

He shook himself of his thoughts. He had stared at the girl throughout them and she had just gripped her brother's hand tighter. After all, it was all she could do.

His brother and Stark had gone down to the crypts to visit the tomb of Lyanna and everyone else was getting settled into Winterfell. The girl turned around and went into the castle without even glancing behind her, her siblings following to probably comfort her on her dreaded nuptials, though they all turned around to glance at the man who would soon be their good-brother.

Stannis would have like to say that he had not wanted this marriage, but that wasn't true. It had been two years since Selyse had died and even Stannis himself had started to think he might need to marry again. The girl was younger than he would have liked, but she was beautiful and could more than likely bear a son or two.

Robert had thought he was doing Stannis a favor by giving a beautiful young wife and Stark a favor by legitimizing his bastard and a chance to give birth to sons that could inherit Dragonstone, as disappointing as it might be. Robert had not thought about the fact that Stannis didn't want a fourteen year old for a wife and or that Stark didn't want someone only two years younger than him for his daughter. Stannis knew that if it had been Renly, Stark wouldn't be complaining. Stannis knew that for once, it should be Renly.

That was probably why Ned had said that the girl should be married in Winterfell in front of its weirwood tree, likely hoping that Robert would disregard the idea of it. Robert just brought half the court to Winterfell to witnesses the marriage along with his family. Stannis himself had just brought Shireen and Davos.

Shireen. She hadn't said much about what she thought of gaining a step-mother that was more of an age to be her sister, but then again Shireen didn't say much to him, or anyone for that matter. Stannis sighed. He could feel a headache coming on and he needed to talk to Davos.

"She's a pretty girl," Davos said weakly when Stannis tracked him down, finding Davos putting his things away in the room he had been given in Winterfell, which had turned out to be just across from Stannis' own room. "Just get a few sons on her and treat her kindly and you might even be somewhat happy."

"Will she be though?"

Davos sighed. "Perhaps. At the very least, she won't complain, m'lord. She knows how lucky she is."

Stannis shook his head. "I don't want a wife who doesn't complain because she's lucky, I want a wife who doesn't complain because she's happy."

Davos gave him a weak smile. "I'm afraid you might have to take what you can get."

Stannis narrowed his eyes, wondering exactly how to get the girl to like him. Perhaps he should stop calling her the girl.

"That would probably be a good idea," Davos muttered.

Stannis frowned, partly at Davos and partly at himself. At that moment he desperately wanted to tell Robert that the wedding had to stop. He knew that at least Ned Stark would agree.

But Robert never would. All Robert would do was to laugh and drink, and slapping him on the back and telling him he just had cold feet; and then telling Stark he had to accept the fact that his daughter was a woman and old enough to marry.

"You could talk to her," Davos said.

Stannis stared at him, confused. "What?"

"You don't want her to be scared of you tomorrow, or at least less scared, talk to her. Ask her what she likes and doesn't like what her siblings are like, what's her direwolf's name. At the very least, what harm could it do?"

Stannis didn't want to find out. Sighing, he left Davos' room. He had to admit that Davos had a good point. For the girl to stop being terrified of him, she had to get to know him. For him to stop seeing her as simply 'the girl', he had to get to know her.